Count the lines further down that contain the word "LUMO" and give the number alone.

'''
Computed, not measured: a structure of composition C64H94CaNO2P3Si, with ωB97M-V/def2-TZVPD.

```
166
Properties=species:S:1:pos:R:3
Ca 0.356 -0.117 -0.556
C -0.720 -0.442 -4.572
C 0.800 -0.260 -4.442
C 1.137 1.206 -4.169
P 1.383 -1.322 -3.053
C 1.133 -3.044 -3.691
C 1.368 -3.234 -5.186
C 1.951 -4.049 -2.883
C 3.208 -1.036 -3.051
C 3.922 -0.971 -4.253
C 5.279 -0.684 -4.273
C 5.946 -0.436 -3.081
C 5.254 -0.488 -1.878
C 3.885 -0.803 -1.828
Si 3.060 -0.956 -0.107
C 3.007 -2.834 0.258
C 4.040 -3.631 -0.258
C 4.200 -4.950 0.131
C 3.323 -5.507 1.055
C 2.276 -4.747 1.552
C 2.094 -3.414 1.155
P 0.614 -2.444 1.664
C 0.818 -2.275 3.495
C 0.798 -3.512 4.391
C 2.127 -1.518 3.726
C -0.799 -3.564 1.242
C -0.554 -4.097 -0.173
C -1.248 -4.674 2.185
C 4.342 -0.399 1.201
C 5.450 -1.174 1.586
C 6.336 -0.724 2.554
C 6.127 0.508 3.171
C 5.035 1.280 2.816
C 4.134 0.834 1.837
P 2.660 1.709 1.200
C 1.555 2.062 2.677
C 2.195 2.157 4.061
C 0.689 3.304 2.432
C 3.300 3.329 0.610
C 3.973 4.266 1.608
C 4.225 3.051 -0.581
H -1.102 0.177 -5.389
H -1.229 -0.149 -3.650
H -1.000 -1.480 -4.779
H 1.284 -0.579 -5.363
H 0.659 1.549 -3.247
H 0.766 1.835 -4.984
H 2.211 1.380 -4.071
H 0.076 -3.230 -3.478
H 2.418 -3.078 -5.448
H 0.753 -2.576 -5.803
H 1.118 -4.265 -5.455
H 3.020 -3.932 -3.085
H 1.663 -5.069 -3.154
H 1.802 -3.933 -1.810
H 3.408 -1.122 -5.195
H 5.810 -0.640 -5.217
H 7.003 -0.196 -3.086
H 5.789 -0.280 -0.956
H 4.732 -3.209 -0.986
H 5.006 -5.546 -0.285
H 3.443 -6.537 1.374
H 1.577 -5.206 2.239
H -0.008 -1.615 3.779
H 1.634 -4.180 4.164
H -0.127 -4.080 4.338
H 0.924 -3.184 5.428
H 2.988 -2.154 3.498
H 2.204 -1.204 4.771
H 2.203 -0.633 3.098
H -1.622 -2.855 1.176
H 0.253 -4.833 -0.194
H -1.460 -4.582 -0.543
H -0.303 -3.289 -0.871
H -0.461 -5.390 2.428
H -2.055 -5.232 1.694
H -1.657 -4.276 3.115
H 5.625 -2.140 1.127
H 7.187 -1.334 2.836
H 6.811 0.858 3.936
H 4.874 2.221 3.325
H 0.883 1.205 2.666
H 2.710 3.113 4.195
H 2.901 1.360 4.273
H 1.401 2.105 4.813
H 1.269 4.221 2.565
H -0.129 3.324 3.159
H 0.240 3.333 1.440
H 2.393 3.808 0.228
H 4.969 3.912 1.878
H 3.399 4.412 2.523
H 4.098 5.245 1.135
H 5.134 2.539 -0.248
H 3.739 2.423 -1.333
H 4.523 3.988 -1.062
C -4.598 5.699 -0.953
C -4.433 4.379 -0.198
C -4.643 4.649 1.301
C -5.510 3.400 -0.692
C -3.045 3.764 -0.394
C -2.764 2.543 0.137
C -1.445 2.015 0.081
N -1.097 0.890 0.724
C -2.131 -0.089 0.915
C -2.817 -0.227 2.108
C -3.850 -1.152 2.230
C -4.172 -1.875 1.085
C -3.475 -1.804 -0.128
C -2.357 -0.940 -0.215
O -1.488 -0.883 -1.225
C -4.068 -2.580 -1.329
C -3.141 -2.716 -2.550
C -5.315 -1.808 -1.796
C -4.498 -3.997 -0.906
C -4.656 -1.333 3.520
C -4.613 -2.801 3.963
C -4.096 -0.478 4.660
C -6.117 -0.921 3.279
C -0.381 2.713 -0.669
O 0.745 2.090 -0.770
C -0.708 3.966 -1.259
C -1.999 4.439 -1.080
C 0.231 4.835 -2.128
C -0.349 4.902 -3.554
C 1.689 4.340 -2.249
C 0.298 6.254 -1.546
H -5.619 6.065 -0.817
H -4.427 5.575 -2.027
H -3.917 6.470 -0.580
H -5.612 5.134 1.469
H -3.858 5.302 1.691
H -4.623 3.717 1.874
H -6.507 3.812 -0.504
H -5.445 2.433 -0.184
H -5.409 3.220 -1.767
H -3.514 1.967 0.667
H -2.543 0.433 2.927
H -5.030 -2.539 1.132
H -2.827 -1.747 -2.928
H -3.689 -3.247 -3.338
H -2.239 -3.286 -2.318
H -5.040 -0.801 -2.122
H -6.045 -1.714 -0.987
H -5.795 -2.324 -2.637
H -3.705 -4.502 -0.348
H -4.725 -4.596 -1.795
H -5.395 -3.994 -0.282
H -3.580 -3.118 4.138
H -5.044 -3.463 3.206
H -5.177 -2.938 4.894
H -3.037 -0.691 4.840
H -4.643 -0.690 5.582
H -4.198 0.591 4.449
H -6.594 -1.562 2.531
H -6.170 0.111 2.919
H -6.696 -0.993 4.206
H -2.238 5.397 -1.528
H -0.311 3.915 -4.026
H 0.241 5.595 -4.162
H -1.388 5.240 -3.566
H 1.771 3.259 -2.264
H 2.303 4.706 -1.420
H 2.123 4.740 -3.172
H -0.665 6.772 -1.584
H 1.021 6.850 -2.113
H 0.624 6.223 -0.502
```

The calculation puts the gap between HOMO and LUMO (spin up / spin down) at 5.67 / 6.03 eV.

Computed, not measured: the ion C22H21N2O4 with charge -1, with ωB97M-V/def2-TZVPD.

```
49
Properties=species:S:1:pos:R:3
C 1.207 2.001 1.519
C 1.870 1.005 2.430
O 1.542 0.904 3.595
'''

1